The sponsor of a bill aiming to protect Arkansas tenants pulled it down for modification Wednesday morning after a lawyer from the Arkansas Realtors Association declared the group's opposition and several members of both parties indicated they were skeptical of the proposal.
Rep. Jimmy Gazaway (R-Paragould) said his House Bill 1410 would "seek some balance between the rights of tenants and the rights of landlords" by establishing minimum habitability standards for all residential rental units. The bill has the support of grassroots groups fighting for renter protections.
HB 1410 would require that rental units be waterproof, structurally sound and have working locks, water, plumbing, electricity and venting and heating systems. Units would be required to have a working smoke alarm and carbon monoxide detector. The landlord would be required to provide air conditioning if he or she had agreed to do so and to provide an outside trash receptacle for apartments if obligated by law or lease.
Arkansas is the only state in the country without such an "implied warranty of habitability" for rental property. "We live in the richest country in the world," Gazaway told the House Insurance and Commerce committee. "These minimum standards ... I do not believe are too much to ask of a landlord in 2019 in the United States of America."
About 1 million people in Arkansas are renters, he said — a third of the state's population. Rental properties in cities likely wouldn't be affected by HB 1410 because most cities have local building codes that are more stringent than the standards outlined in the bill. The measure would primarily affect property in rural areas or smaller towns that may not have building codes (or no code enforcement officer), Gazaway said.
"There are children in this state every night who have to go home to a house that their parents rent that have holes in the roof, holes in the floor; there are rats," he added later. "There are deplorable conditions in some parts of this state."
Lynn Foster, a professor at the Bowen School of Law who helped draft the legislation, presented the bill along with Gazaway. A landlord would be out of compliance only if the tenant's health and safety or use of the premises is "materially affected" by a deficiency in one of the above standards, Foster said. "We’re not talking about a hot tub that’s not hot enough. We’re talking about something that is seriously affecting health and safety," she said.
HB 1410 would give a landlord 14 days to address a problem if notified by the tenant in writing. That period could be extended in the event of inclement weather or other circumstances outside the landlord's control. If the problem remained unaddressed, the tenant could then either terminate the lease or take the landlord to court.
The bill states the remedies wouldn't apply "if the condition of the premises was caused by a willful or negligent act or omission by the tenant" or another person. "Point is, if the tenant destroys the property, then the landlord’s not responsible," Gazaway said.
Foster said the bill also includes an "undue hardship" exception for landlords. If a tenant sued to force a landlord to make a repair beyond the landlord's ability to pay — Foster gave the hypothetical example of a rural rental home that relies on well water, should its well runs dry — the landlord could claim this defense, though he or she would have to prove it in court.
Most of the questions directed to Gazaway by members on the committee — both Democrats and Republicans — suggested they opposed the measure. That prompted Gazaway to pull down the bill at the end of the two-hour meeting. After the committee adjourned, he told reporters he hoped to bring it back next week after making changes.
Rep. Grant Hodges (R-Rogers) and other Republicans voiced worries the bill created a new tort liability for landlords. Gazaway said Arkansas law already states "a landlord owes no duty in tort to tenants," and the bill explicitly reaffirms that statute.
HB 1410 would not make landlords newly susceptible to being sued for injury, death or damage to tenants' personal property, Foster said — only for not maintaining the premises or making necessary repairs.
Rep. Deborah Ferguson (D-West Memphis) said she had concerns with the bill. "Say there’s a tree that’s grown through the sewer line, and the landlord’s going to have to completely replumb … and need the tenant to move out. So now the landlord’s going to have to go to court and hire an attorney to prove a hardship? And how much is that going to cost, and how much time?"
Gazaway said that most tenants would simply want to be released from their lease in such a situation. "The tenants in … 90-plus percent of cases just want to move out of [a] dangerous situation, and what this does is allows them to terminate the lease," he said.
Later on Wednesday, a reporter asked Ferguson whether she believed the state needed new landlord-tenant legislation of any kind. "I don't really think we do," she said. Ferguson said she was not concerned Arkansas was the only state without an implied warranty of habitability.
"That never plays into it with me, what other states are doing," she said.
Ferguson said she was concerned the bill could reduce the amount of housing available in Arkansas. When asked if a landlord should be able to rent a unit without plumbing or electricity, she said that "people see what they're going to rent before they rent it. ... If they want to rent a place that has none of those things, then I guess that's their right."
Ferguson said she is the landlord of a 10-unit apartment complex in West Memphis.
Twelve witnesses signed up to speak in favor the bill on Wednesday morning and three signed up to speak against it. However, the committee approved a motion — made by Rep. Aaron Pilkington (R-Clarksville) — to limit public testimony on the bill to only 15 minutes on each side of the debate, preventing several people from speaking.
Jim Metzger, an economist at UA-Little Rock, spoke for the bill. Metzger, who said he owns rental properties in Arkansas and Florida, claimed HB 1410 would be good for landlords as well as renters. "Well-kept property clearly improves the livability of neighborhoods and makes them attractive to renters ... so I think it improves the overall rental market," he said.
There's no consensus among economists that establishing basic standards for rental properties will drive prices higher, Metzger said. Rents in Arkansas are low for many reasons, he said, from low property taxes to low median incomes. "I don't think the livability clauses in here are so onerous that they’re going to [raise rents]. ... The market is just too competitive for that," he said.
But Cliff McKinney, an attorney representing the Arkansas Realtors Association, told the committee the bill would harm both tenants and landlords. The association would support a bill that "reaches an appropriate balance" between both parties, he said.
"If you don’t have an appropriate balance, costs for landlords will go up. If costs for landlords go up, then costs for tenants go up. Rents will increase. The availability and supply of affordable housing will go down in the state," McKinney said. He listed several specific complaints about the bill as written, such as the inclusion of the word "safe" as a standard in several places. That could "impose liability on landlords for criminal activities" on the premises, he said.
McKinney's opposition prompted a question from Rep. Laurie Rushing (R-Hot Springs), who in 2017 sponsored a more modest attempt to establish habitability standards. She is also a realtor herself. Rushing said her 2017 bill was "written and introduced by the realtors," only to be shot down by them later.
"I carried it through the House and made it through this committee and then we got to the Senate side and then we made one minor change ... and then all of a sudden the realtors were against that bill — their own bill. So my question to you is: Is there ever going to be a bill that’s even halfway close that realtors can agree on? Because if they can’t agree on a bill they wrote themselves, then I’m not sure they can agree on anything."
**Records of crystals, as found in the file**
~~~
Record 1
The following is a DFT calculation (PBE) of a relaxed structure of K4Na3Au2.

## Properties
Calculated formation energy = -1.4 eV per formula unit

Cell: 5.0046 8.2507 9.5513 Å, 107.59 105.19 90.00°
Closest atoms and distances in Å follow each position.
Element x y z (fractional)
Na  0.9041  0.7841  0.8083  2 Au 3.08, 1 Na 3.35
K  0.4196  0.1581  0.8393  2 Au 3.43-3.48, 2 Na 3.71
Au  0.3979  0.5621  0.7957  4 Na 3.08-3.27, 1 K 3.43
Na  0.0959  0.2159  0.1917  2 Au 3.08, 1 Na 3.35
Au  0.6021  0.4379  0.2043  4 Na 3.08-3.27, 1 K 3.43
Na  0.0000  0.5000  0.0000  4 Au 3.27, 2 Na 3.35
K  0.5804  0.8419  0.1607  2 Au 3.43-3.48, 2 Na 3.71
K  0.7718  0.3215  0.5436  3 Au 3.55-3.57, 3 Na 3.83-3.97
K  0.2282  0.6785  0.4564  3 Au 3.55-3.57, 3 Na 3.83-3.97



Record 2
The following is a DFT calculation (PBE) of a relaxed structure of LiCd2Rh.

## Properties
Calculated formation energy = -0.8 eV per formula unit

Cell: 5.0483 5.0483 5.0483 Å, 132.82 132.82 68.93°
Closest atoms and distances in Å follow each position.
Element x y z (fractional)
Rh  0.7500  0.2500  0.5000  8 Cd 2.86-2.90, 4 Li 2.90
Cd  0.0000  0.0000  0.0000  4 Li 2.86, 4 Cd 2.90, 4 Rh 2.90
Cd  0.2500  0.7500  0.5000  4 Rh 2.86, 4 Li 2.90, 4 Cd 2.90
Li  0.5000  0.5000  0.0000  8 Cd 2.86-2.90, 4 Rh 2.90



Record 3
The following is a DFT calculation (PBE) of a relaxed structure of Ac8GaSb3Te4.

## Properties
Energy relative to the elements, uncorrected = -1.30 eV per atom

Cell: 9.5314 9.5266 9.5313 Å, 120.02 120.00 90.00°
Closest atoms and distances in Å follow each position.
Element x y z (fractional)
Sb  0.5000  0.5000  0.5000  6 Ac 3.33-3.34
Ga  0.0000  0.5000  0.0000  6 Ac 3.23
Te  0.0000  0.0000  0.5000  6 Ac 3.41
Ac  0.2399  0.7347  0.9948  1 Ga 3.23, 2 Sb 3.34, 3 Te 3.41-3.51
Ac  0.2399  0.7347  0.4798  1 Ga 3.23, 2 Sb 3.34, 3 Te 3.41-3.51
Ac  0.7549  0.7347  0.9948  1 Ga 3.23, 2 Sb 3.34, 3 Te 3.41-3.51
Ac  0.2532  0.2598  0.5065  3 Sb 3.33, 3 Te 3.41
Sb  0.0000  0.5000  0.5000  6 Ac 3.33-3.34
Te  0.0000  0.0000  0.0000  6 Ac 3.41
Te  0.5000  0.0000  0.5000  6 Ac 3.41
Ac  0.2451  0.2653  0.0052  1 Ga 3.23, 2 Sb 3.34, 3 Te 3.41-3.51
Ac  0.7601  0.2653  0.0052  1 Ga 3.23, 2 Sb 3.34, 3 Te 3.41-3.51
Ac  0.7601  0.2653  0.5202  1 Ga 3.23, 2 Sb 3.34, 3 Te 3.41-3.51
Te  0.5000  0.0000  0.0000  6 Ac 3.51
Ac  0.7468  0.7402  0.4935  3 Sb 3.33, 3 Te 3.41
Sb  0.5000  0.5000  0.0000  6 Ac 3.33-3.34



Record 4
The following is a DFT calculation (PBE) of a relaxed structure of NbAlAg2B.

## Properties
Calculated formation energy = 5.9 eV per formula unit

Cell: 4.7930 3.9450 4.7930 Å, 90.00 90.00 90.00°
Closest atoms and distances in Å follow each position.
Element x y z (fractional)
Ag  0.0000  0.0000  0.5000  2 Al 2.40
Al  0.0000  0.0000  0.0000  2 B 1.97
B  0.0000  0.5000  0.0000  2 Al 1.97
Ag  0.5000  0.0000  0.0000  2 Al 2.40
Nb  0.5000  0.5000  0.5000  8 Ag 3.10, 4 B 3.39



Record 5
The following is a DFT calculation (PBE) of a relaxed structure of SbTe2Pb.

## Properties
~~~
**End of the records of crystals**
McKinney told Rushing, "if the changes were made to get it to where it needs to be, the realtors would support something that allowed a fair and balanced approach to both landlords and tenants." McKinney declined to answer when asked by another legislator whether he felt there was a need for any new landlord-tenant law.
Among the others who spoke for the bill was Cory Cox, the chief of staff for Attorney General Leslie Rutledge. The AG's office, he said, was "very interested in seeing something done" due to the daily consumer complaints the office receives from tenants. He urged the committee to "come to some resolution" with Gazaway.
"If you have concerns, he’s willing to work with you … we need something done in this area," Cox said. "Let’s not just write this off and say there’s nothing we can do."
This reporting is courtesy of the Arkansas Nonprofit News Network, an independent, nonpartisan news project dedicated to producing journalism that matters to Arkansans. Find out more at arknews.org.